_Input_
=====
No. 1
First-principles (SCAN) data for a crystal of MnTc2Br relaxed with PBEsol, as listed in Alexandria.

Cell and atoms, written as POSCAR:
```
MnTc2Br
1.0
2.980 0.000 0.000
0.000 2.980 0.000
0.000 0.000 6.383
Mn Tc Br
1 2 1
Direct
0.000 0.000 0.000
0.500 0.500 0.223
0.500 0.500 0.777
0.000 0.000 0.500
```

Values from the calculation:
Uncorrected formation energy, eV/atom: 0.49
Total magnetization, Bohr magnetons per cell: 1.9

No. 2
First-principles (SCAN) data for a crystal of BeOsW2 relaxed with PBEsol, as listed in Alexandria.

Cell and atoms, written as POSCAR:
```
BeOsW2
1.0
2.790 0.000 0.000
0.000 2.790 0.000
0.000 0.000 6.907
Be Os W
1 1 2
Direct
0.000 0.000 0.000
0.500 0.500 0.188
0.000 0.000 0.446
0.500 0.500 0.763
```

Values from the calculation:
ΔH_f (0 K), meV per atom: 45
Total magnetization, Bohr magnetons per cell: 0.0

No. 3
First-principles (SCAN) data for a crystal of Cd2TeO relaxed with PBEsol, as listed in Alexandria.

Cell and atoms, written as POSCAR:
```
Cd2TeO
1.0
5.778 0.000 0.000
0.000 5.778 0.000
0.000 0.000 11.233
Cd Te O
8 4 4
Direct
0.159 0.250 0.125
0.250 0.659 0.375
0.250 0.841 0.875
0.341 0.250 0.625
0.659 0.750 0.625
0.750 0.159 0.875
0.750 0.341 0.375
0.841 0.750 0.125
0.000 0.000 0.500
0.000 0.500 0.750
0.500 0.000 0.250
0.500 0.500 0.000
0.000 0.000 0.000
0.000 0.500 0.250
0.500 0.000 0.750
0.500 0.500 0.500
```

Values from the calculation:
Uncorrected formation energy, eV/atom: -0.74
Total magnetization, Bohr magnetons per cell: 0.0

No. 4
First-principles (SCAN) data for a crystal of CdCoW3 relaxed with PBEsol, as listed in Alexandria.

Cell and atoms, written as POSCAR:
```
CdCoW3
1.0
4.740 0.000 0.000
0.000 4.740 0.000
0.000 0.000 4.740
Cd Co W
1 1 3
Direct
0.000 0.000 0.000
0.500 0.500 0.500
0.000 0.000 0.500
0.000 0.500 0.000
0.500 0.000 0.000
```

Values from the calculation:
ΔH_f (0 K), meV per atom: 3477
Total magnetization, Bohr magnetons per cell: 2.2

No. 5
First-principles (SCAN) data for a crystal of Y2BeAlBO7 relaxed with PBEsol, as listed in Alexandria.

Cell and atoms, written as POSCAR:
```
Y2BeAlBO7
1.0
4.692 0.000 0.000
0.000 7.294 0.000
-0.002 0.000 7.310
Y Be Al B O
4 2 2 2 14
Direct
0.001 0.000 0.096
0.013 0.325 0.423
0.987 0.825 0.577
0.999 0.500 0.904
0.446 0.528 0.613
0.554 0.028 0.387
0.498 0.662 0.244
0.502 0.162 0.756
0.431 0.802 0.886
0.569 0.302 0.114
0.216 0.024 0.386
0.261 0.307 0.104
0.279 0.338 0.682
0.280 0.584 0.421
0.283 0.742 0.063
0.289 0.982 0.841
0.317 0.677 0.750
0.683 0.177 0.250
0.711 0.482 0.159
0.717 0.242 0.937
0.720 0.084 0.579
0.721 0.838 0.318
0.739 0.807 0.896
0.784 0.524 0.614
```

Values from the calculation:
Uncorrected formation energy, eV/atom: -3.48
Total magnetization, Bohr magnetons per cell: 0.0

No. 6
First-principles (SCAN) data for a crystal of LaHg5 relaxed with PBEsol, as listed in Alexandria.

Cell and atoms, written as POSCAR:
```
LaHg5
1.0
8.881 0.000 0.000
0.000 4.965 0.000
-0.932 0.000 6.554
La Hg
2 10
Direct
0.000 0.000 0.000
0.500 0.500 0.000
0.000 0.000 0.500
0.146 0.500 0.750
0.183 0.500 0.256
0.317 0.000 0.744
0.354 0.000 0.250
0.500 0.500 0.500
0.646 0.000 0.750
0.683 0.000 0.256
0.817 0.500 0.744
0.854 0.500 0.250
```

Values from the calculation:
ΔH_f (0 K), meV per atom: -393
Total magnetization, Bohr magnetons per cell: 0.0

DOS(E_F) readings, ordered: 0.77; 0.48; 0.28; 0.57; 0.00; 0.51 states/eV per atom


(1)
This record from Alexandria via LeMat-Bulk describes a relaxed LiPm2HPd6 crystal. The functional is PBE.

a = 8.7327 Å, b = 8.5697 Å, c = 5.9625 Å
α = 90.00°, β = 132.88°, γ = 90.00°
Last column: nearest neighbours and their distance in Å.
Space group C2/m (No. 12)
Asymmetric unit:
Li 0.0000 0.0000 0.0000 (multiplicity 2)  6 Pd 2.29-2.33
Pm 0.0000 0.2401 0.5000 (multiplicity 4)  12 Pd 2.99-3.20
H 0.0000 0.5000 0.0000 (multiplicity 2)  6 Pd 2.00-2.05
Pd 0.0000 0.2670 0.0000 (multiplicity 4)  1 H 2.00
Pd 0.2243 0.5000 0.9800 (multiplicity 4)  1 H 2.04
=====

_Activity_
Count the lines above that contain the word "Values" and give the number alone, please.

_Solution_
6